A reclamation of female power

OPINION | How the Women’s March kickstarted a movement

Molly Hayward
The Lily
6 min readJan 19, 2018


(iStock/Lily illustration)

Despite dreary weather, January usually feels hopeful. We stock our refrigerators with healthy groceries, store shiny new gym membership cards in our wallets and remain optimistic about New Year’s resolutions. But for many of us, last January was different. It felt wild and painful, maddening and galvanizing; it felt broken.

And yet, we bundled up for the Women’s March and felt empowered, unified, even optimistic. The energy ignited in such a time of uncertainty would carry us through the following year — and what a year it was.

In the year since the Women’s March, the Trump administration has attacked our health-care rights at home and abroad. The “global gag rule” — the U.S. policy that withholds funding from any organization abroad that counsels women on abortion or provides abortion, even where abortion is legal — was reinstated and expanded. The new rules require foreign nongovernmental organizations that receive U.S. global health funding to certify they do not provide abortions except in cases of rape, incest or to save a woman’s life. Under previous rules, NGOs couldn’t provide these services using U.S. funds, but could use other funding to do so.

In short, this creates more roadblocks for maternal and children’s health care while also threatening previously protected HIV/AIDS programs. At Cora, the company I cofounded, we partner with nonprofit organizations in India and Kenya to help provide menstrual products to girls in need so they can stay in school during their periods, and I’ve seen firsthand the women and children that benefit from international organizations supporting local social enterprises.

According to CARE, family planning could prevent up to 30 percent of maternal deaths each year. Many of the very organizations that provide help with family planning abroad are those being threatened simply because they may refer a woman to a safe place to get an abortion.

It’s devastating to think of the power we have as U.S. citizens to help vulnerable families, and knowing that this administration’s archaic view of women’s rights is preventing us from using it for good.

In addition to harming women internationally, there were plenty of policies to make sure women at home felt ignored and hopeless, too.

The Trump administration released regulations that allow employers, colleges and universities to drop birth control coverage from their health plans. As of this writing, the mandate has been blocked, making the final outcome unclear; but if it were to pass, tens of thousands of women would lose contraceptive coverage. This includes coverage for those who use birth control to clear acne, balance hormones and manage painful symptoms of illnesses like endometriosis and premenstrual dysphoric disorder (PMDD).

In the same vein, last April, President Trump signed legislation with the intent to cut off federal funding for Planned Parenthood. Doing so would reduce access to cervical cancer screenings, STI tests and treatments, birth control and support services for millions of women.

Legislation aside, last year saw the unearthing of stories of sexual abuse, harassment and assault that seemed to touch every industry, thanks to women’s willingness to say #MeToo.

We saw it in tech, with women accusing investors of sexual harassment and discrimination. It’s an age old story — a man has money a woman needs, because that’s the way the system’s been set up, and he wields this power over her — with a modern twist; women are refusing to be submissive and are demanding accountability.

We saw it in politics in the case of accused child molester and Republican Roy Moore, who narrowly lost Alabama’s Senate race due in large part to black women casting 98 percent of their votes for Democrat Doug Jones.

We saw it in Hollywood, where women and some men bravely came forward against Harvey Weinstein, but more importantly against systemic harassment, inequity and a culture that not only turns a blind eye to these injustices, but also nurtures the cesspool.

In the New York Times, Lindy West writes, “In a just system, Weinstein would have faced career-ruining social and professional consequences the first time he changed into a bathrobe and begged a horrified woman for a massage. In a just system, the abuse wouldn’t have stayed an open secret for decades while he was left free to chew through generation after generation of starlets. Weinstein’s life, like [Bill] Cosby’s, isn’t the story of some tragic, pitiable downfall. It’s the story of someone who got away with it.”

Time and again, 2017 showed us humanity at its worst. And time and again, women said no more.

Women got angry. Women shared their stories with the hashtag #MeToo, exposing the ugly truth that injustice toward women is blind to industry, celebrity, race, color, or creed. Women shared stories of work trip hotel rooms becoming places of fear and dread, of showers turning into unwanted peep shows, and of business conversations littered with innuendo and even propositions for sex.

These stories were difficult to hear, but 2017 will always be the year the narrative changed.

Planned Parenthood received over 160,000 donations in the week following the election — with over 20,000 of those donations made in Vice President Mike Pence’s name. A Planned Parenthood spokesperson said that over 70 percent of donors in the month following the election had never given money to the organization before.

Women like Susan Fowler, who wrote a viral blog post about her experience with sexual harassment at Uber, shed light on the inefficiency and biases of the systems and infrastructures companies put in place to “protect” women. This whistleblowing may have precipitated the departure of Uber’s CEO but it also sent a message to executives everywhere: We are demanding a new precedent. Sadly, the precedent is really just that men follow the rules and not proposition women for sex at work, but we can hope this is the foundation for respect and even equality.

In the political sector, too, women refused to be silenced.

Joshua Ulibarri, who served as Virginia House Democrats’ pollster in 2017, said, “Gender played a huge role in the campaigns this year. The excitement among women can’t be measured other than last night with those 16 seats.” Indeed, the first local elections since Trump’s inauguration saw record numbers of women running for office — many inspired and motivated by the disappointment they felt in the 2016 election.

She Should Run, a nonpartisan organization that helps recruit and train women for public office at the local, state and federal levels, announced last summer their goal of achieving gender parity among elected officials by 2030. To that end, Emily’s List, a nonprofit organization committed to electing pro-choice Democratic women into office, announced last month that it has heard from more than 25,000 women who are interested in running for public office.

Last year was hard. I was outraged, sad, disappointed, and I cringed on a near daily basis. But the year since the 2017 Women’s March on Washington (and on just about everywhere else, too) has also been a reclamation of female power.

“Feminism” was Merriam-Webster’s word of the year. “The Silence Breakers” were Time Magazine’s Person of the Year. In 2017, we gathered as friends to discuss policy, we wrote blog posts and articles to break our silence, we donated money like never before to threatened organizations, and, despite legislative roadblocks and nightmarish setbacks, we marched onward.

We’ve seen nasty, and we’re not turning back.

Molly Hayward is the co-founder of Cora, a San Francisco-based lifestyle brand giving women a modern method for managing their periods.



These records of molecules were left in the entry by mistake:
~~~
A cluster of 2 separate species, C26H24NO6S2 in total, computed with wB97M-V/def2-TZVPD.

ORCA input file:
```
! wB97M-V def2-TZVPD RIJCOSX def2/J DEFGRID3
* xyz -1 1
C -2.584 -1.131 3.359
C -0.265 2.752 -4.239
C 1.683 -0.116 3.212
H 1.325 -2.141 5.371
H 2.211 2.405 2.670
H -6.191 0.073 4.211
H -3.409 -3.113 3.248
C 4.464 3.187 -2.160
H -1.563 -1.424 3.096
C 0.695 0.981 2.946
H -1.857 2.202 3.646
C 4.675 3.092 2.069
O 4.362 4.012 -5.093
H 5.724 4.980 1.891
C 4.005 2.041 -0.024
C 1.982 2.892 -5.087
C 5.238 4.161 1.362
H 2.646 -3.521 3.005
C 3.514 2.662 -2.971
C -4.135 0.671 3.921
H -0.196 3.792 -7.501
H -0.936 2.532 -3.412
H 2.288 -4.211 4.599
H 2.266 3.520 -7.110
O 4.231 1.493 -5.235
S 3.740 2.759 -4.739
C -5.176 -0.258 3.979
H -5.739 -2.342 3.783
N -0.556 0.635 3.058
C 1.860 -2.146 4.415
C 5.182 4.170 -0.026
C 4.129 2.027 1.355
H 1.058 2.830 3.935
O 2.904 0.034 3.225
O 1.090 -1.276 3.520
O 1.372 3.065 -1.457
S 1.877 2.181 -2.478
H 2.860 -1.728 4.551
H 3.769 1.152 1.876
H 0.966 -3.889 3.456
H 5.651 4.971 -0.603
C 4.526 3.139 -0.734
H -4.308 1.732 4.091
H 5.273 3.723 -2.667
C -0.729 3.162 -5.489
H 4.692 3.062 3.159
H -1.801 3.283 -5.640
C 1.108 2.634 -4.048
H 0.567 2.952 2.231
C -3.621 -2.059 3.433
C -2.827 0.235 3.575
C 1.535 3.307 -6.333
C 0.163 3.446 -6.532
C 1.928 -3.526 3.830
O 1.820 0.741 -2.349
C -4.925 -1.620 3.730
C 1.160 2.373 2.942
H 3.592 1.176 -0.544
C -1.695 1.133 3.407
*
```

Highest occupied orbital energy in eV: -2.4107
Relative energy (zero: lowest compared OMol25 entry of this formula, charge and spin) in kJ/mol: 0.0

Atom charges from the Mulliken analysis, given in e for atoms 1 to 8: -0.524 -0.794 0.724 0.302 -0.185 0.330 0.354 -0.234

A cluster of 2 separate species, C8H11PS in total, computed with wB97M-V/def2-TZVPD.

ORCA input file:
```
! wB97M-V def2-TZVPD RIJCOSX def2/J DEFGRID3
* xyz 0 1
C -0.761 1.359 0.318
P -2.334 0.770 0.962
H 1.086 -1.371 -0.161
C 1.371 2.337 0.881
H -4.490 0.135 -0.248
H -1.432 -2.548 1.178
C 0.961 1.577 -1.356
H 2.028 2.797 1.605
C 0.224 -2.029 -0.190
C 1.815 2.133 -0.419
C -0.488 -2.042 1.090
C -0.318 1.194 -0.998
H 2.822 2.409 -0.691
H -0.037 -1.660 1.985
H -0.439 -1.724 -1.002
H -0.975 0.772 -1.744
S -3.321 0.367 -0.837
C 0.101 1.954 1.248
H -0.250 2.110 2.258
H 1.292 1.433 -2.375
H 0.564 -3.041 -0.441
*
```

Highest occupied orbital energy (spin up / spin down) in eV: -7.7453 / -7.1406
Relative energy (zero: lowest compared OMol25 entry of this formula, charge and spin) in kJ/mol: 89.3

Atom charges from the Mulliken analysis, given in e for atoms 1 to 8: 0.854 0.076 0.168 -0.486 0.142 0.348 -0.648 0.377

A cluster of 2 separate species, C4H5BrN2O4 in total, computed with wB97M-V/def2-TZVPD.

ORCA input file:
```
! wB97M-V def2-TZVPD RIJCOSX def2/J DEFGRID3
* xyz 0 1
C 0.444 0.469 -0.739
H 1.525 -0.131 1.332
O -0.043 -0.419 -1.375
C 1.571 0.453 0.348
O -1.071 -2.263 0.274
Br -3.067 1.082 0.262
H -1.476 -0.342 1.852
O 1.973 3.015 0.665
O -2.832 -1.539 -0.862
N 0.403 1.804 -0.604
~~~

Molly Hayward
The Lily
Writer for

Molly Hayward is the Founder of Cora, the modern period care brand that gives pads to girls in need with every product purchased. www.cora.life